I'm Dr Orion taraban and this is sync hacks Better Living Through psychology the topic of today's short talk is talking is overrated how ironic now this might sound strange coming from a therapist but I'm here to tell you that in relationships talking is overrated but Orion isn't communication the key to good relationships yes it is however you have to understand that while all talking is communication not all communication is talking talking is good for some things like planning Logistics and it is absolutely terrible for other things the most common misapplication of this principle is assuming
that if communication is the key to good relationships then you have to talk about everything all the time and that is absolutely not true a fair share of effective communication is knowing what not to talk about and understanding when talking is useless at this point in my life I'm convinced that I could have a peaceful loving respectful relationship with a woman who couldn't even speak English why because the point of a relationship is not to convey semantic information and everything essential to a relationship can be communicated without words I'm also a fantastic partner which as
we'll see makes a big difference however this hasn't always been the case I've been in some relationships in the past where most of the relationship consisted of talking about the relationship what did you mean when you said that how are we doing where is this going and that is death why because the point of a relationship is to come together and experience each other in the world through that connection and while you can do this through talking it is almost always less interesting and vital than doing which would you rather do have sex or talk
== Inserted here: crystal structures ==
/*
First-principles (PBE+U) data for a relaxed structure of BaNiO3, as listed in the Materials Project.

Summary:
- Formation energy: -1695.8 meV/atom

Unit cell a=4.0307 b=4.0307 c=4.0307 alpha=90.00 beta=90.00 gamma=90.00
Closest atoms and distances in Å follow each position.
Space group Pm-3m (No. 221)
Inequivalent atoms, fractional coordinates:
Ba (0.0000, 0.0000, 0.0000) [1 per cell]  12 O 2.85
Ni (0.5000, 0.5000, 0.5000) [1 per cell]  6 O 2.02
O (0.0000, 0.5000, 0.5000) [3 per cell]  2 Ni 2.02

----------
*/
about having sex be on holiday or talk about the trip you took six months ago talking is to doing as imagination is to reality the former is a pale imitation of the latter and all other things being equal the more time you spend talking the less time you spend doing and that's where all the good stuff is here's another reason why talking is overrated how often has it happened in your life that your partner has said to you we need to talk and when you sat down with this other person he or she said I
need you to know that last week when we were having a discussion about my mother I never felt so heard and respected and validated in my life you need to know that I'm very satisfied with this relationship and I'm extremely content with the way things are going and I'm only concerned that I just might not be able to love you any more than I currently do like that never happens does it and why is that because when people say we need to talk it's because somebody has a problem and they believe that talking is going
to resolve that problem and again this is going to sound really weird coming from a therapist but that is often not the case only a small subset of problems can really be solved by talking about them and in many cases talking about problems becomes a problem in and of itself now before I go any further if you're liking what you're hearing please consider sending this to someone who might benefit from its message it's Word of Mouth referrals like this that really help the channel to grow and you can also hit the super thanks button and
tip me in proportion to the value you feel you've derived from this episode I really appreciate your support act actually helps to reduce an undesired Behavior it's generally because the possibility of talking about the behavior again is more aversive than giving up the behavior itself that is talking is a punishment Marcia Linehan the creator of dialectical behavior therapy understood this to be true when a client violated his or her treatment agreement Say by missing a group session or arriving late she would not allow the therapy to proceed until the behavior was exhaustively discussed the client
would be eager to talk about an argument she had with her boyfriend or a conflict he had at work and she wouldn't let them she would take time out of what the client wanted to do to talk about something he or she had done and clients generally hated that so much that they changed their behavior it was the punitive component of talking that moved the needle not the problem solving or understanding potentialities of talking that most people assume to be responsible for the behavior change to the extent that we need to talk works it's because
it's punitive and punishments reduce the frequency of behavior but should you really be punishing your partner it's generally not a very good idea for a number of reasons in the first place to the extent that it works it increases the power imbalance in a relationship why for the simple reason that punishments can really only issue from the more powerful to the less powerful so the more you employ punishment the more powerful you become and the less powerful your partner becomes which isn't usually sustainable as it leads to resentment on both sides punishers are resentful because
they increasingly feel parentified and critical and punishes are resentful because they increasingly feel infantilized and criticized what a drag after all good relationships are about enjoying who your partner is not about changing them into who you want them to be now when do people feel like they need to talk when somebody was disrespectful or somebody was lazy or somebody was irresponsible or somebody was inconsiderate or somebody was withholding Etc unpopular opinion but talking will not fix any of those things talking will not make a disrespectful person respectful or a lazy person productive or a irresponsible
person responsible and insisting on talking about these issues is really a kind of intolerance for the partner you chose the way to solve these problems is not by talking but by being respectful productive responsible considerate and generous if you are a good partner and you choose people who are also good partners there really won't be much to talk about this is why I believe that I could have an excellent relationship with someone who doesn't speak my language I know how to be a good partner and I know how to recognize people who know how to
~~~
1.
MnP3O9 | PBE with a Hubbard U | optimized geometry

Calculated total energy: -94.627 eV per formula unit
Crystal system: orthorhombic
ΔE_f: -2503 meV/atom
Energy with MP2020 corrections: -0.5794 Ry per atom
ΔE to the lowest computed polymorph: 11 meV per atom
Theoretical density: 3.03 g cm⁻³

a b c (Å): 8.3892 8.4070 9.0665
angles (deg): 90.00 90.00 90.00
Space group P2_12_12_1 (No. 19)
One atom of each set of equivalent atoms:
Mn  0.1390  0.1398  0.3541 (multiplicity 4)
P  0.0340  0.6766  0.8052 (multiplicity 4)
P  0.1742  0.5101  0.3040 (multiplicity 4)
P  0.2045  0.1944  0.9430 (multiplicity 4)
O  0.0436  0.2259  0.8490 (multiplicity 4)
O  0.0876  0.1178  0.5891 (multiplicity 4)
O  0.0894  0.5930  0.1791 (multiplicity 4)
O  0.0952  0.3655  0.3714 (multiplicity 4)
O  0.1373  0.8148  0.8571 (multiplicity 4)
O  0.1511  0.5359  0.7465 (multiplicity 4)
O  0.1604  0.1643  0.0985 (multiplicity 4)
O  0.1872  0.9171  0.3573 (multiplicity 4)
O  0.2115  0.6319  0.4347 (multiplicity 4)

***

2.
Mn4P3O12 | PBE with a Hubbard U | optimized geometry

Calculated total energy: -143.954 eV per formula unit
Crystal system: monoclinic
ΔE_f: -2453 meV/atom
Energy with MP2020 corrections: -0.6146 Ry per atom
ΔE to the lowest computed polymorph: 36 meV per atom
Theoretical density: 3.13 g cm⁻³

a b c (Å): 14.7078 8.5230 9.8727
angles (deg): 90.00 119.95 90.00
Space group Cc (No. 9)
One atom of each set of equivalent atoms:
Mn  0.0000  0.0195  0.0000 (multiplicity 4)
Mn  0.1710  0.3465  0.5030 (multiplicity 4)
Mn  0.2459  0.2517  0.1666 (multiplicity 4)
Mn  0.4013  0.0791  0.9951 (multiplicity 4)
P  0.1624  0.0452  0.3772 (multiplicity 4)
P  0.2966  0.4104  0.8856 (multiplicity 4)
P  0.4958  0.1177  0.3795 (multiplicity 4)
O  0.9999  0.3945  0.7300 (multiplicity 4)
O  0.0375  0.4616  0.4767 (multiplicity 4)
O  0.0595  0.2412  0.9872 (multiplicity 4)
O  0.0809  0.0347  0.7290 (multiplicity 4)
O  0.1132  0.1011  0.4772 (multiplicity 4)
O  0.2000  0.2047  0.3424 (multiplicity 4)
O  0.2233  0.3261  0.7355 (multiplicity 4)
O  0.2508  0.4368  0.9971 (multiplicity 4)
O  0.2582  0.0649  0.9844 (multiplicity 4)
O  0.3385  0.4313  0.3550 (multiplicity 4)
O  0.3798  0.1175  0.3478 (multiplicity 4)
O  0.4038  0.3178  0.9768 (multiplicity 4)

***

3.
MnP3O9 | PBE with a Hubbard U | optimized geometry

Calculated total energy: -94.168 eV per formula unit
Crystal system: triclinic
ΔE_f: -2468 meV/atom
Energy with MP2020 corrections: -0.5768 Ry per atom
ΔE to the lowest computed polymorph: 46 meV per atom
Theoretical density: 2.73 g cm⁻³

a b c (Å): 7.0316 7.2164 7.2994
angles (deg): 84.03 86.08 74.66
Space group P-1 (No. 2)
One atom of each set of equivalent atoms:
Mn  0.0671  0.1492  0.1730 (multiplicity 2)
P  0.0366  0.2243  0.6464 (multiplicity 2)
P  0.2463  0.4384  0.8649 (multiplicity 2)
P  0.3711  0.7649  0.3082 (multiplicity 2)
O  0.0822  0.0508  0.7919 (multiplicity 2)
O  0.0820  0.1899  0.4491 (multiplicity 2)
O  0.1502  0.3760  0.6959 (multiplicity 2)
~~~
The crystal structures stop here
be good partners all the things that I'm looking for in a relationship kindness loyalty tenderness sensuality patience generosity positivity prioritization connection do not need words in fact they can all be communicated wordlessly in actions and in a general attitude toward life I have plenty of people to talk to if I feel the urge to do so I don't need a woman to talk to I need a woman for other things the fact of the matter is is there is little need to talk about most problems because the vast majority of problems spontaneously remiss which is
to say they tend to take care of themselves you don't have to talk about every little thing you don't have to process every uncomfortable emotion that you experience throughout your week these things come and go on the other hand talking about a problem enshrines that in the memory of the relationship such that something that could have been a temporary issue becomes a permanent fact the only issues that really need to be discussed are deal breakers and there are really these are really just two minute conversations if a problem is so bad that it would destroy
the relationship all by itself then give people the option to choose between the problem or the relationship and move on with your life it's not easy but it really is that simple and that's what I have to say for the time being what do you think does this fit with your own experience let me know in the comments below and if you've gotten this far you might as well like this episode And subscribe to this Channel and you may also consider becoming a channel member with perks like priority review of comments or booking a paid
Materials data, as found in the file.
A relaxed structure of RbAg3S2, computed with PBE-GGA.

ρ: 4455 kg/m3
E (MP2020): -3.366 eV/atom
electronic total energy: -0.235 Ry per atom

Cell and atoms, written as CIF:
```
data_RbAg3S2
_chemical_formula_sum 'Rb4 Ag12 S8'
_space_group_name_H-M_alt 'C 1 2/m 1'
_space_group_IT_number 12
_space_group_name_Hall '-C 2y'
_cell_length_a 18.351
_cell_length_b 4.353
_cell_length_c 9.961
_cell_angle_alpha 90.00
_cell_angle_beta 117.55
_cell_angle_gamma 90.00
loop_
_atom_site_label
_atom_site_fract_x
_atom_site_fract_y
_atom_site_fract_z
Rb1 0.146 0.000 0.189
Ag1 0.053 0.000 0.773
Ag2 0.091 0.000 0.491
Ag3 0.136 0.500 0.726
S1 0.027 0.500 0.275
S2 0.204 0.000 0.751
```

A relaxed structure of La2Ni2I, computed with PBE-GGA.

ρ: 6762 kg/m3
E (MP2020): -5.398 eV/atom
electronic total energy: -0.391 Ry per atom

Cell and atoms, written as CIF:
```
data_La2Ni2I
_chemical_formula_sum 'La4 Ni4 I2'
_space_group_name_H-M_alt 'P 63/m m c'
_space_group_IT_number 194
_space_group_name_Hall '-P 6c 2c'
_cell_length_a 4.1024
_cell_length_b 4.1024
_cell_length_c 17.5936
_cell_angle_alpha 90.00
_cell_angle_beta 90.00
_cell_angle_gamma 120.00
loop_
_atom_site_label
_atom_site_fract_x
_atom_site_fract_y
_atom_site_fract_z
La1 0.0000 0.0000 0.1048
Ni1 0.3333 0.6667 0.0021
I1 0.3333 0.6667 0.7500
```

A relaxed structure of Pr3Ga2Ni6, computed with PBE-GGA.

ρ: 8139 kg/m3
electronic total energy: -0.399 Ry per atom

Cell and atoms, written as CIF:
```
data_Pr3Ga2Ni6
_chemical_formula_sum 'Pr12 Ga8 Ni24'
_space_group_name_H-M_alt 'I m -3 m'
_space_group_IT_number 229
_space_group_name_Hall '-I 4 2 3'
_cell_length_a 9.070
_cell_length_b 9.070
_cell_length_c 9.070
_cell_angle_alpha 90.00
_cell_angle_beta 90.00
_cell_angle_gamma 90.00
loop_
_atom_site_label
_atom_site_fract_x
_atom_site_fract_y
_atom_site_fract_z
Pr1 0.000 0.000 0.288
Ga1 0.250 0.250 0.250
Ni1 0.000 0.337 0.337
```

A relaxed structure of Er2InAu2, computed with PBE-GGA.

ρ: 12061 kg/m3
electronic total energy: -0.331 Ry per atom

Cell and atoms, written as CIF:
```
data_Er2InAu2
_chemical_formula_sum 'Er4 In2 Au4'
_space_group_name_H-M_alt 'P 4/m b m'
_space_group_IT_number 127
_space_group_name_Hall '-P 4 2ab'
_cell_length_a 7.976
_cell_length_b 7.976
_cell_length_c 3.650
_cell_angle_alpha 90.00
_cell_angle_beta 90.00
_cell_angle_gamma 90.00
loop_
_atom_site_label
_atom_site_fract_x
_atom_site_fract_y
_atom_site_fract_z
Er1 0.171 0.329 0.000
In1 0.000 0.000 0.500
Au1 0.128 0.628 0.500
```

A relaxed structure of SrMg3SiN4, computed with PBE-GGA.

ρ: 3528 kg/m3
E (MP2020): -6.174 eV/atom
electronic total energy: -0.442 Ry per atom

Cell and atoms, written as CIF:
```
data_SrMg3SiN4
_chemical_formula_sum 'Sr16 Mg48 Si16 N64'
_space_group_name_H-M_alt 'I 41/a'
_space_group_IT_number 88
_cell_length_a 11.632
_cell_length_b 11.632
_cell_length_c 13.616
_cell_angle_alpha 90.00
_cell_angle_beta 90.00
_cell_angle_gamma 90.00
loop_
_space_group_symop_operation_xyz
'x,y,z'
'-x,-y,-z'
'-y+3/4,x+1/4,z+1/4'
End of the materials data.
consultation as always thank you for listening